-- Listing --
-- begin --
1.
First-principles (PBE-GGA) data for Mn2Cu2AsP after structural relaxation, as listed in the Materials Project.

Cell lengths 3.6026, 6.1392, 7.3836 Å; angles 90.00, 90.00, 90.00 degrees
Fractional coordinates of all 12 atoms:
Mn 0.2500 0.0305 0.8319
P 0.7500 0.2485 0.6356
Mn 0.2500 0.5305 0.6681
Cu 0.7500 0.8667 0.5734
Cu 0.7500 0.3667 0.9266
P 0.7500 0.7485 0.8644
As 0.2500 0.2533 0.1403
As 0.2500 0.7533 0.3597
Mn 0.7500 0.4597 0.3558
Cu 0.2500 0.1413 0.4544
Cu 0.2500 0.6413 0.0456
Mn 0.7500 0.9597 0.1442

Results
SG ... Pmc2_1
Electronic total energy ... -6.168 eV/atom
M_tot ... 1.069 μB per atom

---

2.
First-principles (PBE-GGA) data for Pr2Mn3Cu9As7 after structural relaxation, as listed in the Materials Project.

Cell lengths 9.9273, 9.9273, 4.0074 Å; angles 90.00, 90.00, 120.00 degrees
Fractional coordinates of all 21 atoms:
Cu 0.3808 0.2912 0.0000
Mn 0.4571 0.8875 0.5000
Cu 0.9525 0.2424 0.5000
Cu 0.7576 0.7101 0.5000
Cu 0.1710 0.3839 0.0000
As 0.2140 0.2535 0.5000
Mn 0.1125 0.5697 0.5000
Cu 0.2129 0.8290 0.0000
As 0.6277 0.5443 0.0000
Mn 0.4303 0.5429 0.5000
As 0.9166 0.3723 0.0000
Cu 0.7088 0.0896 0.0000
As 0.3333 0.6667 0.0000
Cu 0.2899 0.0475 0.5000
Cu 0.9104 0.6192 0.0000
Pr 0.0000 0.0000 0.0000
Pr 0.6667 0.3333 0.5000
As 0.7465 0.9605 0.5000
As 0.0395 0.7860 0.5000
Cu 0.6161 0.7871 0.0000
As 0.4557 0.0834 0.0000

Results
SG ... P-6
Electronic total energy ... -5.380 eV/atom
M_tot ... 0.632 μB per atom

---

3.
First-principles (PBE-GGA) data for NaCuAsO4 after structural relaxation, as listed in the Materials Project.

Cell lengths 10.9080, 6.1396, 10.5828 Å; angles 88.52, 90.00, 90.00 degrees
Fractional coordinates of all 56 atoms:
O 0.0291 0.0991 0.8343
As 0.3645 0.3777 0.9088
O 0.7947 0.5976 0.4475
O 0.2844 0.8791 0.4537
O 0.2960 0.8707 0.1829
Na 0.3693 0.6321 0.6186
As 0.1355 0.3777 0.4088
Na 0.8474 0.8717 0.8824
O 0.4709 0.0991 0.3343
O 0.0535 0.6258 0.3777
O 0.7040 0.1293 0.8171
O 0.7053 0.5976 0.9475
Cu 0.3796 0.8312 0.0109
Na 0.8693 0.3679 0.8814
O 0.7156 0.1209 0.5463
As 0.8645 0.6223 0.5912
O 0.2053 0.4024 0.5525
Cu 0.1204 0.8312 0.5109
Cu 0.4003 0.3843 0.2229
As 0.6210 0.1271 0.6786
O 0.0353 0.6349 0.8402
Cu 0.6204 0.1688 0.9891
O 0.9616 0.8453 0.5881
O 0.2156 0.8791 0.9537
O 0.9709 0.9009 0.1657
Na 0.6526 0.8717 0.3824
O 0.0384 0.1547 0.4119
Na 0.3474 0.1283 0.6176
O 0.7960 0.1293 0.3171
Cu 0.0997 0.3843 0.7229
Na 0.1526 0.1283 0.1176
Na 0.6307 0.3679 0.3814
O 0.4616 0.1547 0.9119
O 0.2947 0.4024 0.0525
O 0.2682 0.3466 0.7835
O 0.7844 0.1209 0.0463
O 0.7682 0.6534 0.7165
O 0.9465 0.3742 0.6223
O 0.2040 0.8707 0.6829
As 0.8790 0.1271 0.1786
As 0.3790 0.8729 0.3214
O 0.9647 0.3651 0.1598
O 0.4465 0.6258 0.8777
O 0.2318 0.3466 0.2835
O 0.5535 0.3742 0.1223
O 0.5384 0.8453 0.0881
Cu 0.5997 0.6157 0.7771
O 0.5291 0.9009 0.6657
Cu 0.8796 0.1688 0.4891
O 0.7318 0.6534 0.2165
Cu 0.9003 0.6157 0.2771
O 0.5353 0.3651 0.6598
O 0.4647 0.6349 0.3402
As 0.6355 0.6223 0.0912
As 0.1210 0.8729 0.8214
Na 0.1307 0.6321 0.1186

Results
SG ... P2_1/c
Electronic total energy ... -5.466 eV/atom
M_tot ... 0.000 μB per atom

* * * * *

Density functional theory data (meta-GGA r2SCAN) for a geometry-optimized DySi structure.

POSCAR file:
```
DySi
1.0
7.896 0.000 0.000
0.000 3.823 0.000
0.000 0.000 5.689
Dy Si
4 4
direct
0.179 0.250 0.115
0.321 0.750 0.615
0.679 0.250 0.385
0.821 0.750 0.885
0.038 0.250 0.628
0.462 0.750 0.128
0.538 0.250 0.872
0.962 0.750 0.372
```

Results
SG = Pnma, No. 62
DFT total energy = -42.56 eV/f.u.
DFT formation energy = -0.90 eV per atom
-- stop --

-- Activity --
Set down everything above exactly.

-- Worked solution --
1.
First-principles (PBE-GGA) data for Mn2Cu2AsP after structural relaxation, as listed in the Materials Project.

Cell lengths 3.6026, 6.1392, 7.3836 Å; angles 90.00, 90.00, 90.00 degrees
Fractional coordinates of all 12 atoms:
Mn 0.2500 0.0305 0.8319
P 0.7500 0.2485 0.6356
Mn 0.2500 0.5305 0.6681
Cu 0.7500 0.8667 0.5734
Cu 0.7500 0.3667 0.9266
P 0.7500 0.7485 0.8644
As 0.2500 0.2533 0.1403
As 0.2500 0.7533 0.3597
Mn 0.7500 0.4597 0.3558
Cu 0.2500 0.1413 0.4544
Cu 0.2500 0.6413 0.0456
Mn 0.7500 0.9597 0.1442

Results
SG ... Pmc2_1
Electronic total energy ... -6.168 eV/atom
M_tot ... 1.069 μB per atom

---

2.
First-principles (PBE-GGA) data for Pr2Mn3Cu9As7 after structural relaxation, as listed in the Materials Project.

Cell lengths 9.9273, 9.9273, 4.0074 Å; angles 90.00, 90.00, 120.00 degrees
Fractional coordinates of all 21 atoms:
Cu 0.3808 0.2912 0.0000
Mn 0.4571 0.8875 0.5000
Cu 0.9525 0.2424 0.5000
Cu 0.7576 0.7101 0.5000
Cu 0.1710 0.3839 0.0000
As 0.2140 0.2535 0.5000
Mn 0.1125 0.5697 0.5000
Cu 0.2129 0.8290 0.0000
As 0.6277 0.5443 0.0000
Mn 0.4303 0.5429 0.5000
As 0.9166 0.3723 0.0000
Cu 0.7088 0.0896 0.0000
As 0.3333 0.6667 0.0000
Cu 0.2899 0.0475 0.5000
Cu 0.9104 0.6192 0.0000
Pr 0.0000 0.0000 0.0000
Pr 0.6667 0.3333 0.5000
As 0.7465 0.9605 0.5000
As 0.0395 0.7860 0.5000
Cu 0.6161 0.7871 0.0000
As 0.4557 0.0834 0.0000

Results
SG ... P-6
Electronic total energy ... -5.380 eV/atom
M_tot ... 0.632 μB per atom

---

3.
First-principles (PBE-GGA) data for NaCuAsO4 after structural relaxation, as listed in the Materials Project.

Cell lengths 10.9080, 6.1396, 10.5828 Å; angles 88.52, 90.00, 90.00 degrees
Fractional coordinates of all 56 atoms:
O 0.0291 0.0991 0.8343
As 0.3645 0.3777 0.9088
O 0.7947 0.5976 0.4475
O 0.2844 0.8791 0.4537
O 0.2960 0.8707 0.1829
Na 0.3693 0.6321 0.6186
As 0.1355 0.3777 0.4088
Na 0.8474 0.8717 0.8824
O 0.4709 0.0991 0.3343
O 0.0535 0.6258 0.3777
O 0.7040 0.1293 0.8171
O 0.7053 0.5976 0.9475
Cu 0.3796 0.8312 0.0109
Na 0.8693 0.3679 0.8814
O 0.7156 0.1209 0.5463
As 0.8645 0.6223 0.5912
O 0.2053 0.4024 0.5525
Cu 0.1204 0.8312 0.5109
Cu 0.4003 0.3843 0.2229
As 0.6210 0.1271 0.6786
O 0.0353 0.6349 0.8402
Cu 0.6204 0.1688 0.9891
O 0.9616 0.8453 0.5881
O 0.2156 0.8791 0.9537
O 0.9709 0.9009 0.1657
Na 0.6526 0.8717 0.3824
O 0.0384 0.1547 0.4119
Na 0.3474 0.1283 0.6176
O 0.7960 0.1293 0.3171
Cu 0.0997 0.3843 0.7229
Na 0.1526 0.1283 0.1176
Na 0.6307 0.3679 0.3814
O 0.4616 0.1547 0.9119
O 0.2947 0.4024 0.0525
O 0.2682 0.3466 0.7835
O 0.7844 0.1209 0.0463
O 0.7682 0.6534 0.7165
O 0.9465 0.3742 0.6223
O 0.2040 0.8707 0.6829
As 0.8790 0.1271 0.1786
As 0.3790 0.8729 0.3214
O 0.9647 0.3651 0.1598
O 0.4465 0.6258 0.8777
O 0.2318 0.3466 0.2835
O 0.5535 0.3742 0.1223
O 0.5384 0.8453 0.0881
Cu 0.5997 0.6157 0.7771
O 0.5291 0.9009 0.6657
Cu 0.8796 0.1688 0.4891
O 0.7318 0.6534 0.2165
Cu 0.9003 0.6157 0.2771
O 0.5353 0.3651 0.6598
O 0.4647 0.6349 0.3402
As 0.6355 0.6223 0.0912
As 0.1210 0.8729 0.8214
Na 0.1307 0.6321 0.1186

Results
SG ... P2_1/c
Electronic total energy ... -5.466 eV/atom
M_tot ... 0.000 μB per atom

* * * * *

Density functional theory data (meta-GGA r2SCAN) for a geometry-optimized DySi structure.

POSCAR file:
```
DySi
1.0
7.896 0.000 0.000
0.000 3.823 0.000
0.000 0.000 5.689
Dy Si
4 4
direct
0.179 0.250 0.115
0.321 0.750 0.615
0.679 0.250 0.385
0.821 0.750 0.885
0.038 0.250 0.628
0.462 0.750 0.128
0.538 0.250 0.872
0.962 0.750 0.372
```

Results
SG = Pnma, No. 62
DFT total energy = -42.56 eV/f.u.
DFT formation energy = -0.90 eV per atom